# File
Ba5Ru2Cl2O9 after structural relaxation. Source: Materials Project, functional PBE-GGA.

Results
ΔE to the lowest computed polymorph in meV per atom: 44.4
Calculated volume in A^3/atom: 18.949
Size of the total moment in Bohr magnetons per cell: 0.000
Energy of formation in eV per atom: -2.40
E_tot in eV per formula unit: -113.3

Cell and atoms, written as CIF:
```
data_Ba5Ru2Cl2O9
_cell_length_a 6.030
_cell_length_b 14.528
_cell_length_c 15.575
_cell_angle_alpha 90.00
_cell_angle_beta 90.00
_cell_angle_gamma 90.00
_symmetry_space_group_name_H-M 'P 1'
_symmetry_Int_Tables_number 1
loop_
_symmetry_equiv_pos_as_xyz
'x,y,z'
loop_
_atom_site_label
_atom_site_type_symbol
_atom_site_fract_x
_atom_site_fract_y
_atom_site_fract_z
Ba1 Ba 0.750 0.730 0.502
Ba2 Ba 0.250 0.672 0.791
Ba3 Ba 0.750 0.020 0.373
Ba4 Ba 0.250 0.520 0.127
Ba5 Ba 0.750 0.442 0.430
Ba6 Ba 0.250 0.270 0.498
Ba7 Ba 0.750 0.854 0.760
Ba8 Ba 0.750 0.646 0.260
Ba9 Ba 0.750 0.172 0.709
Ba10 Ba 0.750 0.058 0.930
Ba11 Ba 0.250 0.980 0.627
Ba12 Ba 0.750 0.480 0.873
Ba13 Ba 0.750 0.328 0.209
Ba14 Ba 0.250 0.942 0.070
Ba15 Ba 0.250 0.230 0.998
Ba16 Ba 0.250 0.828 0.291
Ba17 Ba 0.250 0.354 0.740
Ba18 Ba 0.250 0.558 0.570
Ba19 Ba 0.750 0.770 0.002
Ba20 Ba 0.250 0.146 0.240
Ru1 Ru 0.750 0.438 0.654
Ru2 Ru 0.250 0.938 0.846
Ru3 Ru 0.250 0.375 0.303
Ru4 Ru 0.250 0.125 0.803
Ru5 Ru 0.750 0.875 0.197
Ru6 Ru 0.250 0.562 0.346
Ru7 Ru 0.750 0.625 0.697
Ru8 Ru 0.750 0.062 0.154
Cl1 Cl 0.250 0.445 0.927
Cl2 Cl 0.750 0.945 0.573
Cl3 Cl 0.750 0.555 0.073
Cl4 Cl 0.250 0.686 0.991
Cl5 Cl 0.250 0.814 0.491
Cl6 Cl 0.750 0.186 0.509
Cl7 Cl 0.750 0.314 0.009
Cl8 Cl 0.250 0.055 0.427
O1 O 0.509 0.113 0.091
O2 O 0.022 0.204 0.843
O3 O 0.478 0.296 0.343
O4 O 0.250 0.649 0.254
O5 O 0.250 0.330 0.183
O6 O 0.750 0.944 0.080
O7 O 0.750 0.670 0.817
O8 O 0.478 0.020 0.773
O9 O 0.750 0.149 0.246
O10 O 0.978 0.796 0.157
O11 O 0.250 0.056 0.920
O12 O 0.750 0.351 0.746
O13 O 0.250 0.851 0.754
O14 O 0.522 0.704 0.657
O15 O 0.991 0.113 0.091
O16 O 0.478 0.204 0.843
O17 O 0.522 0.980 0.227
O18 O 0.509 0.387 0.591
O19 O 0.522 0.520 0.727
O20 O 0.009 0.613 0.409
O21 O 0.491 0.613 0.409
O22 O 0.991 0.387 0.591
O23 O 0.022 0.296 0.343
O24 O 0.009 0.887 0.909
O25 O 0.022 0.480 0.273
O26 O 0.978 0.704 0.657
O27 O 0.022 0.020 0.773
O28 O 0.522 0.796 0.157
O29 O 0.978 0.980 0.227
O30 O 0.750 0.556 0.580
O31 O 0.250 0.444 0.420
O32 O 0.491 0.887 0.909
O33 O 0.478 0.480 0.273
O34 O 0.750 0.830 0.317
O35 O 0.978 0.520 0.727
O36 O 0.250 0.170 0.683
```

***

Ba5SiCl6O4 after structural relaxation. Source: Materials Project, functional PBE-GGA.

Results
Calculated volume in A^3/atom: 26.050
Energy of formation in eV per atom: -2.92
E_tot in eV per formula unit: -89.8

Cell and atoms, written as CIF:
```
data_Ba5SiCl6O4
_cell_length_a 8.929
_cell_length_b 8.929
_cell_length_c 11.854
_cell_angle_alpha 82.32
_cell_angle_beta 82.32
_cell_angle_gamma 114.45
_symmetry_space_group_name_H-M 'P 1'
_symmetry_Int_Tables_number 1
loop_
_symmetry_equiv_pos_as_xyz
'x,y,z'
loop_
_atom_site_label
_atom_site_type_symbol
_atom_site_fract_x
_atom_site_fract_y
_atom_site_fract_z
Ba1 Ba 0.684 0.429 0.520
Ba2 Ba 0.798 0.202 0.250
Ba3 Ba 0.766 0.923 0.634
Ba4 Ba 0.077 0.234 0.866
Ba5 Ba 0.316 0.571 0.480
Ba6 Ba 0.202 0.798 0.750
Ba7 Ba 0.923 0.766 0.134
Ba8 Ba 0.234 0.077 0.366
Ba9 Ba 0.429 0.684 0.020
Ba10 Ba 0.571 0.316 0.980
Si1 Si 0.423 0.577 0.750
Si2 Si 0.577 0.423 0.250
Cl1 Cl 0.202 0.143 0.634
Cl2 Cl 0.019 0.720 0.549
Cl3 Cl 0.720 0.019 0.049
Cl4 Cl 0.798 0.857 0.366
Cl5 Cl 0.857 0.798 0.866
Cl6 Cl 0.758 0.242 0.750
Cl7 Cl 0.981 0.280 0.451
Cl8 Cl 0.143 0.202 0.134
Cl9 Cl 0.242 0.758 0.250
Cl10 Cl 0.000 0.500 0.000
Cl11 Cl 0.280 0.981 0.951
Cl12 Cl 0.500 0.000 0.500
O1 O 0.402 0.443 0.868
O2 O 0.236 0.523 0.714
O3 O 0.557 0.598 0.632
O4 O 0.523 0.236 0.214
O5 O 0.477 0.764 0.786
O6 O 0.443 0.402 0.368
O7 O 0.764 0.477 0.286
O8 O 0.598 0.557 0.132
```

***
# To do
It remains to filter the data above: keep the lines with the word "O4".
# Result
O4 O 0.250 0.649 0.254
O4 O 0.523 0.236 0.214